FAR-Reaching Reforms on Track to Expand BEAR
In Short
The Situation: In early 2019, the Royal Commission into Misconduct in the Banking, Superannuation and Financial Services Industry ("Banking Royal Commission") recommended the expansion of the Banking Executive Accountability Regime ("BEAR") to apply to all entities regulated by the Australian Prudential Regulation Authority ("APRA") across the banking, insurance, and superannuation sectors.
The Result: In July 2021, the Australian Government released an exposure draft of its proposed Financial Accountability Regime ("FAR") bill to expand the accountability framework for directors, senior executives and subsidiaries under BEAR to include not only authorised deposit-taking institutions ("ADIs"), but also general, life and private health insurance licensees, registered superannuation entity ("RSE") licensees, and licensed non-operating holding companies.
Looking Ahead: The draft legislation is expected to be put before Parliament in late 2021. If enacted, FAR will substantially expand the existing accountability framework under BEAR, both in terms of the entities and individuals who are subject to the regime and the scope of their obligations, with the regime to be administered jointly by APRA and the Australian Securities and Investments Commission ("ASIC").
BEAR, which came into effect throughout 2018 and 2019, imposed extensive accountability obligations on ADIs and expanded APRA's enforcement powers. You can read our previous Commentary on BEAR here.
_These data records were left in the text by mistake_
~~~
*P*
CaCrTe2I: optimized geometry, PBE.

```
CaCrTe2I
1.0
5.378 0.000 0.000
0.000 5.378 0.000
0.000 0.000 5.504
Ca Te I Cr
1 2 1 1
Direct
0.500 0.500 0.500
0.500 0.000 0.000
0.000 0.500 0.000
0.000 0.000 0.500
0.000 0.000 0.000
```

***

*Q*
CaCrTe2I: optimized geometry, PBE.

```
CaCrTe2I
1.0
5.920 0.000 0.000
0.000 5.920 0.000
0.000 0.000 5.927
Ca Te Cr I
1 2 1 1
Direct
0.000 0.000 0.000
0.000 0.500 0.000
0.500 0.000 0.000
0.500 0.500 0.500
0.000 0.000 0.500
```

***

Least stable of them? *Q*.

***

*P*
CaCrIn3: optimized geometry, PBE.

```
CaCrIn3
1.0
5.105 0.000 0.000
0.000 5.105 0.000
0.000 0.000 5.105
Ca In Cr
1 3 1
Direct
0.500 0.500 0.500
0.000 0.000 0.500
0.500 0.000 0.000
0.000 0.500 0.000
0.000 0.000 0.000
```

***

*Q*
CaCrIn3: optimized geometry, PBE.

```
CaCrIn3
1.0
5.743 0.000 0.000
0.000 5.743 0.000
0.000 0.000 5.743
In Ca Cr
3 1 1
Direct
0.000 0.500 0.000
0.000 0.000 0.500
0.500 0.000 0.000
0.000 0.000 0.000
0.500 0.500 0.500
```

***

Least stable of them? *Q*.

***

*P*
CaCr3In: optimized geometry, PBE.

```
CaCr3In
1.0
-1.093 4.146 2.941
-4.993 -1.441 0.177
0.957 -2.787 4.284
In Cr Ca
1 3 1
Direct
0.000 0.000 0.000
0.000 0.500 0.000
0.500 0.000 0.000
0.000 0.000 0.500
0.500 0.500 0.500
```

***

*Q*
CaCr3In: optimized geometry, PBE.

```
CaCr3In
1.0
4.438 0.000 0.000
0.000 4.438 0.000
0.000 0.000 4.438
In Cr Ca
1 3 1
Direct
0.500 0.500 0.500
0.500 0.000 0.000
0.000 0.000 0.500
0.000 0.500 0.000
0.000 0.000 0.000
```

***

Least stable of them? *Q*.

***

*P*
CaCr3Ir: optimized geometry, PBE.

```
CaCr3Ir
1.0
4.196 0.000 0.000
0.000 4.196 0.000
0.000 0.000 4.196
Cr Ir Ca
3 1 1
Direct
0.000 0.000 0.500
0.000 0.500 0.000
0.500 0.000 0.000
0.500 0.500 0.500
0.000 0.000 0.000
```

***

*Q*
CaCr3Ir: optimized geometry, PBE.

```
CaCr3Ir
1.0
-1.923 -0.187 -4.432
4.427 -0.384 -1.905
-0.278 -4.816 0.324
Cr Ir Ca
3 1 1
Direct
0.000 0.000 0.500
0.500 0.000 0.000
0.000 0.500 0.000
0.000 0.000 0.000
0.500 0.500 0.500
```

***

Least stable of them? *P*.

***

*P*
CaCr2Ir: optimized geometry, PBE.

```
CaCr2Ir
1.0
3.024 0.000 0.000
0.000 3.028 0.293
0.000 2.308 7.700
Cr Ca Ir
2 1 1
Direct
0.500 0.252 0.249
0.000 0.926 0.073
0.500 0.768 0.732
0.000 0.554 0.446
```

***

*Q*
CaCr2Ir: optimized geometry, PBE.

```
CaCr2Ir
1.0
5.066 0.001 0.003
4.201 2.831 0.003
1.059 0.324 4.976
Cr Ir Ca
2 1 1
Direct
0.030 0.030 0.879
0.470 0.470 0.621
0.750 0.750 0.750
0.250 0.250 0.250
```

***

Least stable of them? *Q*.

***

*P*
CaCr2Ir: optimized geometry, PBE.

```
CaCr2Ir
1.0
4.879 -0.010 -0.023
3.978 2.826 -0.023
1.454 0.462 5.205
Cr Ca Ir
2 1 1
Direct
0.746 0.746 0.750
0.037 0.037 0.909
0.242 0.242 0.259
0.474 0.474 0.582
```

***

*Q*
CaCr2Ir: optimized geometry, PBE.

```
CaCr2Ir
1.0
-3.714 -2.923 6.054
0.108 -6.941 -3.285
0.755 -5.504 2.677
Ir Ca Cr
2 2 4
Direct
0.750 0.250 0.500
0.000 0.000 0.000
0.250 0.750 0.500
0.500 0.500 0.000
0.875 0.956 0.750
0.375 0.294 0.750
0.706 0.125 0.250
0.044 0.625 0.250
```

***

*R*
~~~
In response to recommendations by the Banking Royal Commission, the Australian Government proposes to extend BEAR to all entities regulated by APRA, including general, life and private health insurance licensees, RSE licensees, and licensed non-operating holding companies ("NOHCs"). In January 2020, the Government released a proposal paper describing the proposed expansion of BEAR. In July 2021, the Government released an exposure draft of the Financial Accountability Regime Bill 2021 and various explanatory materials. Public consultation on the exposure draft closed in August 2021, and the Bill is expected to be put before Parliament in the coming months. If enacted, FAR will apply to ADIs already subject to BEAR from the later of 1 July 2022 or 6 months after the commencement of the legislation. It will apply to all other APRA-regulated entities from the later of 1 July 2023 or 18 months after the commencement of FAR.
Key Changes from BEAR
The most significant reforms include:
- Accountable entities: Under FAR, accountable entities will include all APRA-regulated entities including ADIs that are currently subject to BEAR, RSEs, and insurers and all of those entities' NOHCs. With the exception of NOHCs, accountable entities will be classified according to total asset value as either "core compliance entities" or "enhanced compliance entities". Only the more asset rich enhanced compliance entities (comprising ADIs and RSEs with total assets greater than A$10 billion, general and private health insurers with total assets greater than A$2 billion, and life insurers with total assets greater than A$4 billion) will be required to submit accountability statements and maps to APRA.
- Accountable persons: As is the case under BEAR, accountable persons under FAR will include individuals who have actual or effective senior executive responsibility for management or control of an accountable entity or a significant or substantial part or aspect of the operations of the entity or the entity's relevant group. This will include all members of the board of directors and c-suite, as well as the heads of significant business divisions of the accountable entity, such as internal audit and human resources. An accountable person will also include a person who holds one or more positions or responsibilities prescribed by Ministerial Direction, including those responsible for functions such as anti-money laundering, dispute resolution, client or member remediation programs, breach reporting and end-to-end product responsibility. Senior executives with responsibility for certain key functions within insurers and superannuation entities will also be accountable persons. The Government's stated intention is that middle or lower management personnel will not be accountable persons.
- Accountability obligations: Under BEAR, accountable persons have obligations to act with honesty and integrity, and with due skill care and diligence, deal with APRA in an open, constructive and cooperative way, and take reasonable steps in conducting their responsibilities to prevent matters from arising that would adversely affect the prudential standing or reputation of the ADI. Those obligations will be expanded under FAR to include taking reasonable steps to ensure that the entity complies with certain financial services legislation, and dealing openly, constructively and cooperatively with ASIC. The regulators will be given wide-ranging powers to investigate suspected contraventions and enforce compliance.
- Civil penalties for accountable entities: BEAR imposes maximum civil penalties for ADIs based on the entity's asset size. Under FAR, the maximum penalty for all accountable entities will be significantly higher, being the greater of A$11.1M; or three times the amount of the benefit derived or detriment avoided because of the contravention; or 10% of the annual turnover of the entity up to a maximum of A$555M.
# Data records that have nothing to do with the text
<<<
Crystalline Nd2Dy2NCl5 at its relaxed geometry, computed with PBE-GGA.

Unit cell a=8.7385 b=8.7385 c=8.0574 alpha=103.34 beta=103.34 gamma=24.70
Last column: nearest neighbours and their distance in Å.
Fractional positions:
Cl: 0.1691 0.1691 0.3256  2 Dy 2.71, 1 Nd 2.83
Cl: 0.1749 0.1749 0.8493  3 Dy 2.76-3.06, 1 Nd 2.89
Cl: 0.5000 0.5000 0.5000  4 Nd 2.99
Cl: 0.8251 0.8251 0.1507  3 Dy 2.76-3.06, 1 Nd 2.89
Cl: 0.8309 0.8309 0.6744  2 Dy 2.71, 1 Nd 2.83
Nd: 0.9989 0.9989 0.2100  2 N 2.52
Nd: 0.0011 0.0011 0.7900  2 N 2.52
Dy: 0.6408 0.6408 0.0745  1 N 2.34
Dy: 0.3592 0.3592 0.9255  1 N 2.34
N: 0.5000 0.5000 0.0000  2 Dy 2.34, 4 Nd 2.52

Values from the calculation:
Crystal system: monoclinic
DFT total energy in eV/atom: -5.50

Crystalline LuTlHgS3 at its relaxed geometry, computed with PBE-GGA.

Unit cell a=4.0272 b=7.8946 c=10.5952 alpha=90.00 beta=90.00 gamma=75.22
Last column: nearest neighbours and their distance in Å.
Fractional positions:
Tl: 0.6902 0.6196 0.7500  4 S 3.02-3.11
Tl: 0.3098 0.3804 0.2500  4 S 3.02-3.11
Hg: 0.3968 0.2064 0.7500  2 S 2.39
Hg: 0.6032 0.7936 0.2500  2 S 2.39
S: 0.3810 0.2380 0.9745  1 Hg 2.39
S: 0.9568 0.0864 0.2500  2 Lu 2.73, 2 Hg 3.01, 2 Tl 3.02
S: 0.6190 0.7620 0.0255  1 Hg 2.39
S: 0.3810 0.2380 0.5255  1 Hg 2.39
S: 0.0432 0.9136 0.7500  2 Lu 2.73, 2 Hg 3.01, 2 Tl 3.02
S: 0.6190 0.7620 0.4745  1 Hg 2.39
Lu: 0.0000 0.0000 0.5000  6 S 2.73
Lu: 0.0000 0.0000 0.0000  6 S 2.73

Values from the calculation:
ΔE to the lowest computed polymorph in kJ/mol of formula units: 0
Crystal system: orthorhombic

Crystalline YMg2Ni9 at its relaxed geometry, computed with PBE-GGA.

Unit cell a=8.3315 b=8.3315 c=8.3315 alpha=33.76 beta=33.76 gamma=33.76
Last column: nearest neighbours and their distance in Å.
Fractional positions:
Ni: 0.4141 0.4141 0.9182  7 Ni 2.39-2.44
Ni: 0.3336 0.3336 0.3336  6 Ni 2.43
Ni: 0.5859 0.5859 0.0818  7 Ni 2.39-2.44
Ni: 0.5859 0.0818 0.5859  7 Ni 2.39-2.44
Ni: 0.5000 0.5000 0.5000  6 Ni 2.39
Ni: 0.4141 0.9182 0.4141  7 Ni 2.39-2.44
Ni: 0.9182 0.4141 0.4141  7 Ni 2.39-2.44
Ni: 0.0818 0.5859 0.5859  7 Ni 2.39-2.44
Ni: 0.6664 0.6664 0.6664  6 Ni 2.43
Mg: 0.8562 0.8562 0.8562  12 Ni 2.79-2.85, 3 Mg 2.99
Mg: 0.1438 0.1438 0.1438  12 Ni 2.79-2.85, 3 Mg 2.99
Y: 0.0000 0.0000 0.0000  6 Ni 2.79

Values from the calculation:
Crystal system: trigonal
DFT total energy in eV/atom: -5.25

Mass density per entry: 5.35; 6.89; 6.95 Mg/m³

=====

Entry from Alexandria via LeMat-Bulk: a PBEsol-optimized structure of AgAsRhSe2 (SCAN).

## Properties
total energy: -119.2 eV/cell
space-group type: P4/mmm, No. 123
V: 22.83 Å³/atom
total moment: 0.002 μB/f.u.

The structure in POSCAR format:
```
AgAsRhSe2
1.0
4.887 0.000 0.000
0.000 4.887 0.000
0.000 0.000 4.780
Ag As Rh Se
1 1 1 2
Direct
0.000 0.000 0.000
0.000 0.000 0.500
0.500 0.500 0.500
0.000 0.500 0.000
0.500 0.000 0.000
```
>>>
Potential Exposure of Individuals
The 2020 proposal paper contemplated substantial civil penalties for individuals for non-compliance with accountability obligations of up to A$1.11 million or three times the benefit derived or detriment avoided by the contravention. In a welcome development, those civil penalties have been removed from the exposure draft of the FAR legislation. There remains a risk however, though untested, that individuals may be subject to a civil penalty under ancillary liability provisions under section 92 of the Regulatory Powers (Standard Provisions) Act 2014.
The proposed legislation maintains APRA's power to disqualify accountable persons, on seven days' notice and with ASIC's agreement, from acting as an accountable person from an accountable entity. It also empowers the regulator to direct an accountable entity to reallocate key personnel obligations in certain circumstances and imposes obligations on accountable entities to defer certain variable remuneration of accountable persons for up to four years. Notably however, the exposure draft does not empower the regulator to veto the appointment or reappointment of directors and senior executives if APRA is of the opinion that a person is not suitable, or has ceased to be suitable, to hold a position as an accountable person, which was contemplated by the proposal paper.
Another development that will be welcomed across boardrooms relates to the availability of indemnities and insurance. While the exposure draft maintains the current prohibition under BEAR that a related body corporate cannot indemnify or pay to insure an accountable entity against the consequences of breaching their accountability obligations, the prohibition has been removed in the case of accountable persons. The prohibition on indemnification by a related body corporate is likely to be particularly problematic for superannuation trustees.
Four Key Takeaways
- If passed by Parliament, FAR will significantly expand the operation of BEAR to include insurers, superannuation funds and licensed non-operating holding companies, likely from 1 July 2023. These organisations will need to undertake significant work over the next 12 to 18 months to ensure that they have appropriate structures, systems, and processes in place to ensure compliance once FAR comes into force.
- FAR will also significantly expand the definition of accountable persons, and introduce new obligations for accountable persons, for both ADIs (from 1 July 2022) and other APRA-regulated entities. Individuals who are or will be accountable persons should take proactive steps to ensure that they understand the scope of their obligations, the consequences of non-compliance, and that their organisations have appropriate systems and processes in place to facilitate compliance. It may be appropriate in some instances for individuals to consider seeking independent legal advice.
- While the penalty and disqualification provisions under BEAR are relatively untested, the potential threat of enforcement for non-compliance with FAR remains significant. Accountable entities could face civil penalties of up to A$555M or three times the benefit derived and detriment avoided from a contravention. Further, APRA has the power to disqualify individuals from acting as accountable persons if they fail to comply with their obligations under FAR.
- Similar to BEAR, FAR prohibits related bodies corporate from indemnifying an accountable entity, or paying for insurance for the accountable entity, against the consequences of breaching FAR obligations (save for any liability for legal costs). However, unlike BEAR, FAR does not prohibit indemnifying or insuring accountable persons. While FAR does not contemplate accountable persons being exposed to civil penalties for non-compliance, such individuals should seek to ensure that they have in place an appropriate deed of access, indemnity and insurance, and that the relevant organisation's D&O policy indemnifies the costs of them engaging independent professional advisers (such as lawyers and public relations advisers) in connection with investigation and enforcement action under FAR.